File
........
Computed, not measured: C14H10F3N4O4PdSSe as an isolated structure at a distorted geometry, with wB97M-V/def2-TZVPD.

Atoms and positions in Å:
1 Pd -0.072 -0.070 0.093
2 O 2.142 -0.666 3.390
3 C 1.491 -0.257 2.431
4 N 0.788 -0.985 1.564
5 C 0.787 -2.420 1.651
6 C -0.079 -2.938 0.531
7 C 0.116 -4.196 -0.016
8 C -0.691 -4.607 -1.060
9 C -1.669 -3.750 -1.535
10 C -1.781 -2.503 -0.955
11 N -1.025 -2.098 0.069
12 C 1.403 1.215 2.093
13 C 1.886 2.219 2.905
14 C 1.753 3.531 2.488
15 C 1.158 3.796 1.265
16 C 0.690 2.748 0.494
17 N 0.808 1.485 0.919
18 H 0.380 -2.733 2.621
19 H 1.794 -2.843 1.581
20 H 0.918 -4.817 0.357
21 H -0.539 -5.576 -1.518
22 H -2.301 -4.013 -2.371
23 H -2.491 -1.776 -1.327
24 H 2.359 1.931 3.834
25 H 2.114 4.344 3.105
26 H 1.042 4.806 0.897
27 H 0.214 2.897 -0.462
28 F 1.836 1.332 -2.184
29 C 1.903 0.396 -3.153
30 F 1.248 0.870 -4.216
31 F 3.198 0.268 -3.487
32 S 1.199 -1.215 -2.596
33 O 1.533 -2.092 -3.688
34 O 1.865 -1.464 -1.340
35 O -0.206 -0.922 -2.429
36 Se -2.698 2.938 -2.835
37 C -2.086 1.935 -1.473
38 N -1.732 1.313 -0.549

Computed properties:
ΔE to the lowest compared entry with this formula, charge and spin, eV: 0.000
Frontier orbital gap, eV: 7.081
LUMO level, eV: 2.26
Calculated total energy, a.u.: -4286.724263
E_HOMO, Ha: -0.1773
Multiplicity: 1
Net charge: -1

Per-atom Mulliken charges, elementary charge units: number 1, Pd, carries 0.939; number 2, O, carries -0.778; number 3, C, carries -0.164; number 4, N, carries -0.156; number 5, C, carries -0.890; number 6, C, carries 0.921; number 7, C, carries -0.657; number 8, C, carries -0.344; number 9, C, carries -0.520; number 10, C, carries -0.199; number 11, N, carries -0.463; number 12, C, carries 0.657; number 13, C, carries -0.569; number 14, C, carries -0.171; number 15, C, carries -0.990; number 16, C, carries 0.029; number 17, N, carries 0.067; number 18, H, carries 0.435; number 19, H, carries 0.359; number 20, H, carries 0.386; number 21, H, carries 0.379; number 22, H, carries 0.390; number 23, H, carries 0.386; number 24, H, carries 0.468; number 25, H, carries 0.411; number 26, H, carries 0.393; number 27, H, carries 0.438; number 28, F, carries -0.186; number 29, C, carries 0.467; number 30, F, carries -0.242; number 31, F, carries -0.241; number 32, S, carries 1.151; number 33, O, carries -0.640; number 34, O, carries -0.567; number 35, O, carries -0.601; number 36, Se, carries -0.319; number 37, C, carries 0.180; number 38, N, carries -0.760


Computed, not measured: a 2-piece molecular cluster, C19H23NO4S overall at a distorted geometry, with wB97M-V/def2-TZVPD.

Atoms and positions in Å:
1 C 0.243 -4.913 -4.450
2 H -0.018 -5.692 -3.765
3 H 1.344 -4.763 -4.226
4 H 0.368 -5.434 -5.433
5 C -0.420 -3.599 -4.630
6 C -0.151 -2.615 -5.605
7 H -0.965 -1.734 -5.758
8 H 0.107 -3.280 -6.493
9 H 0.944 -2.289 -5.268
10 C -0.611 -2.983 -3.174
11 C -1.659 -1.931 -2.856
12 H -2.514 -2.179 -3.217
13 H -1.168 -0.907 -3.799
14 O -1.845 -1.459 -1.644
15 C -0.741 -0.569 -1.219
16 O -0.037 -0.060 -1.811
17 C -1.189 -0.149 0.096
18 C -0.373 0.977 0.778
19 C -0.980 1.878 1.510
20 O -2.085 2.680 1.171
21 N -0.272 2.257 2.705
22 C -0.870 3.333 3.756
23 C 0.354 4.149 3.938
24 C 0.819 4.604 5.119
25 C 2.289 5.300 5.014
26 C 2.312 5.692 3.554
27 S 1.249 5.100 2.380
28 H 3.080 6.271 3.287
29 H 2.543 5.949 5.749
30 H 0.569 4.211 5.936
31 H -1.531 3.723 3.217
32 H -0.917 2.869 4.559
33 C 0.666 1.254 2.983
34 C 0.488 0.301 1.887
35 C 1.488 -0.627 1.302
36 C 0.708 -1.857 0.930
37 H 1.261 -2.583 0.202
38 C -0.931 -1.376 1.201
39 H -1.368 -2.268 1.297
40 O -0.624 -0.722 2.583
41 H 2.365 -0.452 1.147
42 H 0.376 1.017 4.149
43 H 1.672 1.860 2.880
44 H 0.360 1.439 -0.042
45 H -2.141 -0.061 0.499
46 H 0.370 -2.664 -3.033
47 H -0.929 -3.695 -2.484
48 H -1.639 -4.003 -4.919

Computed properties:
ΔE to the lowest compared entry with this formula, charge and spin, eV: 19.376
Frontier orbital gap, eV: 8.946
LUMO level, eV: 0.43
Calculated total energy, a.u.: -1491.042215
........

Exercise
Count the lines earlier on that contain the word "properties" and give the number alone.

Outcome
2